First time out of the vault

Any updates ?
Any updates ?
Record 1
Here is a geometry-optimized CoSnCl2 structure from Alexandria. Energies are from PBE.

Lattice parameters (Å, degrees): 4.8956 4.8956 4.8956 60.00 60.00 60.00
Last column: magnetic moment on the atom in μB.
Element x y z (fractional)
Co (0.0000, 0.0000, 0.0000)  1.84
Sn (0.5000, 0.5000, 0.5000)  -0.08
Cl (0.2500, 0.2500, 0.2500)  0.03
Cl (0.7500, 0.7500, 0.7500)  0.03

## Properties
Total DFT energy (no corrections) (eV per atom): -3.431
Total magnetic moment (μB per formula unit): 1.7
Symmetry: Fm-3m, No. 225
E_form (uncorrected) (meV per atom): 269

Record 2
Here is a geometry-optimized RbGaW3 structure from Alexandria. Energies are from PBE.

Lattice parameters (Å, degrees): 4.8400 4.8400 4.8400 90.00 90.00 90.00
Element x y z (fractional)
Ga (0.0000, 0.0000, 0.0000)
Rb (0.5000, 0.5000, 0.5000)
W (0.0000, 0.5000, 0.0000)
W (0.0000, 0.0000, 0.5000)
W (0.5000, 0.0000, 0.0000)

## Properties
Total DFT energy (no corrections) (eV per atom): -6.108
Formation energy from the elements (eV per atom): 2.46
Total magnetic moment (μB per formula unit): 0.0
Symmetry: Pm-3m, No. 221

=====

Entry 1:
Crystalline HoTm2Zn at its relaxed geometry, computed with GGA-PBE.

formation enthalpy at 0 K: -0.03 eV per atom
magnetic moment: 0.0 μB/cell
space-group type: No. 123
relative energy among the computed polymorphs: 137 meV/atom

Cell: 4.695 4.693 4.693 Å, 90.00 90.00 90.00°
Sites, in units of the cell vectors:
Zn (0.500, 0.500, 0.500)
Tm (0.000, 0.000, 0.500)
Tm (0.000, 0.500, 0.000)
Ho (0.500, 0.000, 0.000)



Entry 2:
Crystalline ScMn2Cr at its relaxed geometry, computed with GGA-PBE.

formation enthalpy at 0 K: 0.37 eV per atom
magnetic moment: 2.0 μB/cell
space-group type: No. 166
relative energy among the computed polymorphs: 309 meV/atom

Cell: 8.304 8.304 8.304 Å, 19.84 19.84 19.84°
Site moments in Bohr magnetons follow the coordinates.
Sites, in units of the cell vectors:
Mn (0.489, 0.489, 0.489)  2.04
Mn (0.011, 0.011, 0.011)  2.04
Sc (0.250, 0.250, 0.250)  -0.32
Cr (0.750, 0.750, 0.750)  -1.61



Entry 3:
Crystalline TaTiNiN2 at its relaxed geometry, computed with GGA-PBE.

energy relative to the elements, uncorrected: 956 meV per atom
magnetic moment: 0.6 μB/cell
space-group type: No. 123

Cell: 3.938 3.938 5.653 Å, 90.00 90.00 90.00°
Site moments in Bohr magnetons follow the coordinates.
Sites, in units of the cell vectors:
Ni (0.500, 0.500, 0.500)  0.47
Ta (0.000, 0.000, 0.000)  -0.01
N (0.000, 0.500, 0.000)  0.23
N (0.500, 0.000, 0.000)  0.23
Ti (0.000, 0.000, 0.500)  -0.43



- The highest magnetic moment belongs to which entry?
  ScMn2Cr



- Which value of magnetic moment does entry 3 give?
  0.6 μB/cell

=====

[1]
Below is TaBe2ZnW at its PBEsol-relaxed geometry, with properties calculated at the SCAN level.

```
5
Lattice="3.960 0.000 0.000 0.000 3.960 0.000 0.000 0.000 4.657" Properties=species:S:1:pos:R:3 pbc="T T T"
Be 0.000 1.980 0.000
W 0.000 0.000 2.329
Be 1.980 0.000 0.000
Zn 0.000 0.000 0.000
Ta 1.980 1.980 2.329
```
== So much for the calculated crystals ==
Did u use new FRMs for this? Can u upload those please?
┌──
Record 1
## Hf3InH (PBE-GGA)

Data for Hf3InH after structural relaxation. Values from VASP.

```
&SYSTEM
  ibrav = 0, nat = 10, ntyp = 3
/
ATOMIC_SPECIES
Hf 178.49 Hf.upf
In 114.82 In.upf
H 1.01 H.upf
ATOMIC_POSITIONS crystal
Hf 0.413 0.235 0.844
Hf 0.913 0.235 0.093
Hf 0.413 0.235 0.350
Hf 0.413 0.735 0.093
Hf 0.913 0.735 0.844
Hf 0.913 0.735 0.350
In 0.913 0.235 0.605
In 0.413 0.735 0.605
H 0.663 0.485 0.263
H 0.163 0.985 0.263
CELL_PARAMETERS angstrom
5.164 0.015 0.000
0.872 5.090 0.000
0.000 0.000 6.869
```

## Properties
Space-group type: Pmm2, No. 25
Theoretical density in g/cm3: 11.98

Record 2
## Hf3InH (PBE-GGA)

Data for Hf3InH after structural relaxation. Values from VASP.

```
&SYSTEM
  ibrav = 0, nat = 5, ntyp = 3
/
ATOMIC_SPECIES
Hf 178.49 Hf.upf
H 1.01 H.upf
In 114.82 In.upf
ATOMIC_POSITIONS crystal
Hf 0.000 0.162 0.838
Hf 0.500 0.639 0.847
Hf 0.500 0.153 0.361
H 0.500 0.025 0.975
In 0.000 0.649 0.351
CELL_PARAMETERS angstrom
-0.536 1.824 2.503
-4.036 -3.523 1.704
5.028 -1.394 2.093
```

## Properties
Space-group type: Amm2, No. 38
Theoretical density in g/cm3: 11.74

Record 3
## Hf3InH (PBE-GGA)

Data for Hf3InH after structural relaxation. Values from VASP.

```
&SYSTEM
  ibrav = 0, nat = 10, ntyp = 3
/
ATOMIC_SPECIES
Hf 178.49 Hf.upf
H 1.01 H.upf
In 114.82 In.upf
ATOMIC_POSITIONS crystal
Hf 0.004 0.496 0.250
Hf 0.250 0.004 0.496
Hf 0.504 0.750 0.996
Hf 0.750 0.996 0.504
Hf 0.496 0.250 0.004
Hf 0.996 0.504 0.750
H 0.250 0.250 0.250
H 0.750 0.750 0.750
In 0.000 0.000 0.000
In 0.500 0.500 0.500
CELL_PARAMETERS angstrom
4.555 0.000 3.356
-2.277 3.945 3.356
-2.277 -3.945 3.356
```

## Properties
Space-group type: R-3c, No. 167
Theoretical density in g/cm3: 11.96

Record 4
## Hf3InH (PBE-GGA)

Data for Hf3InH after structural relaxation. Values from VASP.

```
&SYSTEM
  ibrav = 0, nat = 20, ntyp = 3
/
ATOMIC_SPECIES
In 114.82 In.upf
H 1.01 H.upf
Hf 178.49 Hf.upf
ATOMIC_POSITIONS crystal
In 0.402 0.751 0.434
In 0.098 0.251 0.066
In 0.902 0.749 0.934
In 0.598 0.249 0.566
H 0.570 0.249 0.903
H 0.070 0.251 0.403
H 0.430 0.751 0.097
H 0.930 0.749 0.597
Hf 0.531 0.750 0.070
Hf 0.469 0.250 0.930
Hf 0.750 0.499 0.249
Hf 0.347 0.251 0.306
Hf 0.750 0.999 0.251
Hf 0.847 0.249 0.806
Hf 0.250 0.001 0.749
Hf 0.250 0.501 0.751
Hf 0.653 0.749 0.694
Hf 0.969 0.250 0.430
Hf 0.031 0.750 0.570
Hf 0.153 0.751 0.194
CELL_PARAMETERS angstrom
18.252 0.000 -2.347
0.000 5.976 0.000
-6.603 0.000 4.221
```

## Properties
Space-group type: P2_1/c, No. 14
Theoretical density in g/cm3: 11.76

Values for E, eV per cell, ordered as above
-74.0; -36.7; -73.4; -145.9

~~~~~

# Hf2VTc

An optimized crystal structure of Hf2VTc (PBE, Alexandria via LeMat-Bulk).

Cell: 3.309 4.639 4.639 Å, 90.00 90.00 90.00°
Site moments in Bohr magnetons follow the coordinates.
Atoms (fractional coordinates):
V (0.500, 0.000, 0.000)  1.77
Hf (0.000, 0.500, 0.000)  0.15
Tc (0.500, 0.500, 0.500)  -0.06
Hf (0.000, 0.000, 0.500)  0.15

Computed properties:
└──
_End of the calculated crystals_
Why you want finish the project for me .
Hehe. I want to use them for my own mod. If I will, I promise to give credit.
Ok, thanks. It would be great if at some point you will upload all FRMs as a .rar file or something.
Hi! First, thank you for all your effort.
Here are my 2 cents with some weapons and armor I created for my own personal mod.
View attachment 16716 (Double Barrelled) Pipe Rifle View attachment 16717 Rusted 10mm Pistol
View attachment 16721 .45 Pistol View attachment 16718 Worn Hunting Rifle View attachment 16719 Dynamite Spear
[Attached: crystal structures]
********
No. 1
Material: GeIrN2F
Method: DFT, PBE
State: optimized geometry

Results
Symmetry = P4/mmm (123)
Energy relative to the elements, uncorrected = 493 meV per atom

a b c (Å): 3.7258 3.7258 5.6362
angles (deg): 90.00 90.00 90.00
Closest atoms and distances in Å follow each position.
Sites, in units of the cell vectors:
N 0.0000 0.5000 0.0000  2 Ir 1.86
N 0.5000 0.0000 0.0000  2 Ir 1.86
Ge 0.5000 0.5000 0.5000  4 F 2.63
Ir 0.0000 0.0000 0.0000  4 N 1.86
F 0.0000 0.0000 0.5000  4 Ge 2.63, 2 Ir 2.82



No. 2
Material: GeIrNF2
Method: DFT, PBE
State: optimized geometry

Results
Symmetry = P4/mmm (123)
Energy relative to the elements, uncorrected = -118 meV per atom

a b c (Å): 4.4955 4.4955 3.6888
angles (deg): 90.00 90.00 90.00
Closest atoms and distances in Å follow each position.
Sites, in units of the cell vectors:
N 0.0000 0.0000 0.5000  2 Ir 1.84
Ge 0.5000 0.5000 0.5000  8 F 2.91, 4 N 3.18
Ir 0.0000 0.0000 0.0000  2 N 1.84
F 0.0000 0.5000 0.0000  2 Ir 2.25
F 0.5000 0.0000 0.0000  2 Ir 2.25



No. 3
Material: GeIrNF2
Method: DFT, PBE
State: optimized geometry

Results
Symmetry = P4/mmm (123)
Energy relative to the elements, uncorrected = 395 meV per atom

a b c (Å): 3.8841 3.8841 4.1619
angles (deg): 90.00 90.00 90.00
Closest atoms and distances in Å follow each position.
Sites, in units of the cell vectors:
N 0.0000 0.0000 0.5000  2 Ge 2.08
Ge 0.0000 0.0000 0.0000  4 F 1.94, 2 N 2.08
Ir 0.5000 0.5000 0.5000  4 N 2.75, 8 F 2.85
F 0.0000 0.5000 0.0000  2 Ge 1.94
F 0.5000 0.0000 0.0000  2 Ge 1.94



Number 1: D(E_F) 1.9 states/eV per cell. Number 2: D(E_F) 3.3 states/eV per cell. Number 3: D(E_F) 5.2 states/eV per cell.
********
View attachment 16720 Butterfly Knife View attachment 16722 Knapsack Flamethrower View attachment 16728 40mm EMP Grenade
View attachment 16723 Police Laser Rifle View attachment 16729 Tesla Armor
View attachment 16727 Enhanced Cattle Prod View attachment 16725 Enhanced Power Fist
(The enhanced Cattle Prod and Power Fist serve as replacements for their more powerful counterparts, which got new protos and so may provide an elegant attempt to fix the broken(?) upgrade system)
I also got a huge collection of weapons and armor I took from various mods which I selected to fit nicely together and don't change the tone of the original game too much. These contain sources from several mods like Ecco, Nevada, Ressurection, Megamod, Finesse Weapons, Last Hope, Survivor Mod, as well as from other games like Fallout Tactics, Fallout Online and also some from this cool forum. For some of them I created ground frames as well.
Question is, can I upload all of them as a .frm package or are there restrictions as they aren't originally mine?
In regards to the grenade launcher topic some pages ago these are some from the collection:
View attachment 16730 View attachment 16731 View attachment 16732 (all nevada)
View attachment 16734 MGL (ecco)
Here are the frames I made exclusively on my own (download below).
As for additional content I have lots of ideas and already implemented some of them in my own personal mod.
Here are some of them:
+ implement rocket sledge from red888guns View attachment 16749 and give it rocket sound and fuel consumption
+ change Needler into Flare Gun, changing to fire dmg, flare projectile and flamer sound, ammo into signal flares (early fire weapon)
+ give all sledges the "weapon enhanced knockout" effect to make them more viable
+ generally improve melee weapons to bring them in line with unarmed or guns
+ add throwing as secondary attack to blades
+ add secondary wider throw with additional AP costs for throwables, Heave Ho! fix as well.
+ add more weapons with higher ammo consumption (mostly for higher energy weapons, but double or even triple barelled guns are possible )
View attachment 16750 (last hope mod) View attachment 16753 (megamod)
+ Also I added EMP Ammo for Rocket Launchers, Grenades Launchers and Shotguns (yay!) by modifying ecco's hs_afterhitroll script and it works awesome.
+ Created a stunning effect for Stun PowderView attachment 16754 and Flash GrenadesView attachment 16755 (both tactics) also by modifying ecco's hs_combatdamage script (with stat, critter and armor checks).
+ Not to mention ecco's stealth attack feature. I added spear gunView attachment 16751 (tactics) and crossbowView attachment 16752 (dunno anymore) and made them "silent" together with other weapons like thrown blades, axes, shuriken and spears. I linked it with the former useless "Silent Death" perk to make this perk a viable option.
Just to mention some.
+ For general balance I greatly enjoy the combat.ini weapon/ammo/drugs destroy on death feature. With that you can give critters more drugs and ammo in random encounters without risking in swimming in loot. Removing all money from them and adding a secondary melee weapon helps too.
+ I really like the food contains radiation attempt. I would give stimpacks an even more amount as their ingredients are strong chems and lorewise vault citizens would have access to easy anti-rad tools to counter this.
+ As for drugs I love giving beer a +melee dmg boost and give it to varius thugs in the world map.
+ Nevada made a nice attempt to give alcohol a small anti-rad effect. So you have a nice co-use of drugs and a use for alcohol at all.
+ I recommend adding weaker big guns like hand flamer View attachment 16756 (tactics) or a light flamerView attachment 16757 (survivor mod) as well as early energy guns to give a better balance between weapon classes.
woooow !! amazing work guys !!!! so what's your plan with this mod vali ??